What to do >
Now say how many lines of the rows further below hold the word "so", as a bare number.

Material >
# NaLi5N2
Calculated powder diffraction line list, λ = 1.5418 Å (Cu Kα). Input: a crystal structure in Alexandria, relaxed with GGA-PBE.

```
data_NaLi5N2
_chemical_formula_sum 'Na1 Li5 N2'
_cell_length_a 3.858
_cell_length_b 3.634
_cell_length_c 7.430
_cell_angle_alpha 90.00
_cell_angle_beta 101.28
_cell_angle_gamma 90.00
_symmetry_space_group_name_H-M 'P 1 m 1'
_symmetry_Int_Tables_number 6
loop_
_symmetry_equiv_pos_as_xyz
'x,y,z'
'x,-y,z'
loop_
_atom_site_label
_atom_site_fract_x
_atom_site_fract_y
_atom_site_fract_z
Na1 0.000 0.000 0.000
Li1 0.156 0.000 0.338
Li2 0.206 0.500 0.511
Li3 0.358 0.500 0.801
Li4 0.605 0.500 0.225
Li5 0.763 0.000 0.630
N1 0.107 0.500 0.233
N2 0.279 0.000 0.670
```

The 10 most intense peaks (15 to 90 degrees two-theta), sorted by position:
| (hkl) | 2theta | I_rel |
| --- | --- | --- |
| 1 0 0 | 23.51 | 1000 |
| 1 0 -1 | 24.30 | 474 |
| 0 1 0 | 24.47 | 319 |
| 0 1 1 | 27.43 | 640 |
| 0 1 2 | 34.84 | 598 |
| 1 1 1 | 38.03 | 303 |
| 1 1 -2 | 39.54 | 235 |
| 0 1 3 | 44.89 | 732 |
| 2 0 -1 | 47.22 | 408 |
| 0 2 0 | 50.21 | 362 |

~~~~~

1.
Structure and computed X-ray powder pattern of Sr2ZnIBrO2 (the GGA-PBE geometry in OQMD; CuKα).
Intensities are scaled so that the largest is 100.

Structural model:
Cell lengths 9.778, 9.778, 9.778 Å; angles 155.74, 155.74, 34.57 degrees
Sites, in units of the cell vectors:
Sr 0.000 0.000 0.000
Sr 0.175 0.175 0.000
Zn 0.588 0.588 0.000
I 0.767 0.767 0.000
Br 0.429 0.429 0.000
O 0.089 0.589 0.500
O 0.589 0.089 0.500

The 12 most intense peaks (15 to 90 degrees two-theta), in order of falling intensity:
2theta  d [Å]  I (rel.)
32.4  2.764  100
30.8  2.905  80
55.8  1.649  41
44.1  2.054  39
40.3  2.237  33
26.0  3.429  22
61.3  1.513  19
36.4  2.467  14
72.8  1.299  14
68.4  1.372  13
64.1  1.453  12
76.8  1.240  12

***

2.
Structure and computed X-ray powder pattern of OsI4Br (the GGA-PBE geometry in OQMD; CuKα).
Intensities are scaled so that the largest is 100.

Structural model:
Cell lengths 6.875, 7.298, 9.830 Å; angles 108.88, 90.49, 117.49 degrees
Sites, in units of the cell vectors:
Os 0.105 0.218 0.218
Os 0.895 0.782 0.782
I 0.125 0.602 0.841
I 0.248 0.194 0.957
I 0.322 0.016 0.263
I 0.455 0.605 0.359
I 0.545 0.395 0.641
I 0.678 0.984 0.737
I 0.752 0.806 0.043
I 0.875 0.398 0.159
Br 0.065 0.816 0.566
Br 0.935 0.184 0.434

The 12 most intense peaks (15 to 90 degrees two-theta), in order of falling intensity:
2theta  d [Å]  I (rel.)
30.3  2.948  100
29.9  2.989  55
39.6  2.276  33
16.1  5.507  26
30.5  2.934  24
52.3  1.750  24
39.8  2.264  21
28.9  3.091  20
46.2  1.965  20
46.1  1.968  18
47.5  1.913  17
39.4  2.285  15

***

3.
Structure and computed X-ray powder pattern of PaI2Br2 (the GGA-PBE geometry in OQMD; CuKα).
Intensities are scaled so that the largest is 100.

Structural model:
Cell lengths 8.467, 8.467, 8.467 Å; angles 117.44, 111.57, 99.88 degrees
Sites, in units of the cell vectors:
Pa 0.000 0.246 0.246
Pa 0.000 0.754 0.754
I 0.198 0.698 0.500
I 0.204 0.204 0.000
I 0.796 0.796 0.000
I 0.802 0.302 0.500
Br 0.283 0.240 0.523
Br 0.283 0.760 0.044
Br 0.717 0.240 0.956
Br 0.717 0.760 0.477

The 12 most intense peaks (15 to 90 degrees two-theta), in order of falling intensity:
2theta  d [Å]  I (rel.)
26.0  3.422  100
43.1  2.100  51
33.3  2.687  46
46.5  1.954  34
29.3  3.048  33
18.6  4.761  33
32.2  2.779  26
37.8  2.381  18
32.9  2.725  17
41.1  2.198  17
35.9  2.505  15
42.5  2.125  15

***

4.
Structure and computed X-ray powder pattern of Rb2PdIBr3 (the GGA-PBE geometry in OQMD; CuKα).
Intensities are scaled so that the largest is 100.

Structural model:
Cell lengths 4.662, 7.815, 7.815 Å; angles 93.32, 90.00, 90.00 degrees
Sites, in units of the cell vectors:
Rb 0.000 0.235 0.765
Rb 0.000 0.765 0.235
Pd 0.500 0.250 0.250
I 0.500 0.494 0.494
Br 0.500 0.016 0.016
Br 0.500 0.031 0.469
Br 0.500 0.469 0.031

The 12 most intense peaks (15 to 90 degrees two-theta), in order of falling intensity:
2theta  d [Å]  I (rel.)
29.9  2.992  100

Outcome >
4